
virtual coffee...& blog bravery...

i read some thoughts today about brave blogging...{see here}...
naomi is an inspirational australian blogger and a mother of 6 little cherubs...
if we were really meeting for a virtual coffee today- i'd have her pop over to share a pot with us...
we could sit in the garden together & talk about what she calls brave blogging...
i'd like to hear your thoughts...

the sun is shinning...i still have my hunters on..& i am still getting our herbs & lettuces sorted...
you could watch me...& chat...whilst i dig & carry...
grab a cup...ummm & the milk...& yep that plate of biscuits...
& i'll see you out there ;)
if we were really having a virtual coffee in my front garden, amongst the spades & roses, i'd invite another gorgeous blogger, whom i consider a wonderful sharing writer...
suzanne from *privet & holly*...{see here}

so now we are all here...tell me...
what do you think about blogging...the blogging where you speak from the heart...
regardless of what others may think?
perhaps you speak from the heart in real life...& therefore your blog is just an extension of your day to day self...
or perhaps you keep the two worlds separate...& you only share your crafts or love of gardening on your blog?
i don't think i can separate the two in my world...i write my blog to share my days...
i want my kids to be able to read all that we have shared together...
i want to record our time abroad in england...
i don't necessarily share my down moments...i suppose i don't want to live them again...
i like to reflect on the wonderful things we do...or have done...or plan to do...
i think that is a classic example of my attitude to life...an extension of my real life to my blogging life...

what do you think?
drink your coffee...have a biscuit...
the brits do great biscuits!
so if we were really meeting for a coffee today...
i'd ask you if you've become braver in your blogging?
i think this occurs anyway- as your blog takes shape- as you find your blogging mojo...
both suzanne & naomi are wonderful writers & incredible mothers...
are they brave?
are we lucky to have found them when they decided to share themselves?
if they were sitting in my front garden with us...i'd thank them for being themselves...
you may call them brave...you may think they simply share their thoughts...
i just think they are what we all strive to be...
happy, wise, fulfilled, loving, giving mothers & women...

if we were really meeting for a coffee this morning...
& i'd made you think long & hard about *bravery in blogging*...
i can promise you that i wouldn't also make you dig...or pick up all my hedge cuttings...or wheel my green bin out to the curb...
i'd just give you another bunch of lavender from the front garden...
{yep- miss.audrey has been at her lavender picking...lavender stew making...lavender bouquet making again -see here }
& thank you for making the time for me...as you do every week...
for popping past & saying *hi*...
for sharing thoughts...or just to look at the pickies...
that's what real blog bravery is about, as naomi says, sharing what your really believe & love with others...regardless of what a select few may think
so leave me a thought...or not...
enjoy your lavender...{again- bless her!}...

thanks miss.amy for hosting our virtual coffee
yep, you get the biggest bunch of lavender from miss.audrey cause we both love you


  1. i love the idea of brave blogging. i don't ususally enjoy blogs where the writer doesn't get real. i think there's such a thing as leaving something to the imagination, but if we're all friends, we've got to share from the heart. i hope i'm doing that :)

  2. M, you are such
    a doll and YES,
    you know I believe
    in sharing what's
    in my heart/mind/life
    just as you do. While
    I enjoy all sorts of
    blogs I find that the
    ones that are "real"
    are the ones the draw
    me back, again and
    again. Love you, girlie
    and thank Miss Audrey
    for the lavender, as
    well! Off to do last
    minute errands for my
    girl's trip.....
    xx Suzanne

  3. Your stacked tea cups drew me in...did you photograph them? They are so pretty that I could paint them. They just speak to my heart. Sorry I haven't been over here in a while, I see I have been missing out. You are one of those hidden beauties...my favorite kind of person. I blog from my life. I try to be as real as possible in my daily life and my blog I hope reflects the heart of me. I don't blog about the bad either, but that is because I desire to behold beauty daily and therefore I post a bit of the beauty I am beholding so I can reflect on it and for others...I have been told that my blog is like a refuge of peace. That makes me happy. I am not a gifted writer, but I do not let that hinder me. I want to give beauty...peace...kindness...calm...gentleness...goodness...understanding. I need more of these in my life. I think we all do.

  4. I'm a Brit expat living in Spain, and I have just found your wonderful blog. Yes, I love "brave blogging". Just don't get those blogs that just display images from glossy magazines.
    Do pop over to my blog where I posted something today, that I thought was quite brave/controversial ;-)
    Also love your images which just made me more homesick for the UK, especially your comments about the Brits doing great biscuits ;-)

  5. This was the perfect post for me to read today. I've neglected my blog for the past couple of months as I somehow seemed to have lost my direction. Today is the first day I've even looked at my blog in weeks. Now I'm inspired to become a braver blogger and I'm ready to get back in the saddle.

    Thanks for the coffee and the chat (if we really were meeting for a coffee I would have helped you dig the garden too!) x x

  6. I think the thing that has surprised me the most about blogging is my willingness to share things that otherwise would probably be left unsaid. And I am also surprised that I can feel an instant connection with some bloggers which means that I can say things to them because they have become friends, and so, yes, I think this is when I blog best. Or when blogging brings out the best in me. Sometimes I would like to be braver with my posts, and there is that little fear that holds me back. That fear of what people will really think, especially in village-like Wellington, where many people read and stalk but say nothing! I think I should just get over myself and do it anyway. Thanks for such a thought provoking post Melissa, and for introducing me to Naomi's blog.
    P.S I'd be happy to help dig! And those cups look so pretty.

  7. I how I wish I could just jump on a plane and come visit and have that hot drink with you. I would seriously love to get my hands dirty in the garden and get stuck into some digging and working with you in that sunshine you have happening in your backyard. Thanks so much for the shout out on your blog. So kind and so brave of you. Love, love, love those tea cups. Thanks gorgeous lady. N x

  8. Hi Melissa, I think people blog for different reasons. I think the very best of reasons is to journal life as a memory and keepsake for children. I use blogging as a a journal of what I make, create or find. I try to keep it real, it is all me, but I don't necessarily think that is brave, just honest. I focus on the good like you because that makes me happy, and that is what I do in real life too. I enjoy sharing the lives of others and can relate to joys and the trials. On the flip side just sharing some pretty pictures with someone who has a good eye for collating pictures is also a joy too. So I admire the brave bloggers, and love to share their thoughts because life is colorful, and not just rosey!
    I love and adore your images as usual, and the tea cups are especially gorgeous! Happy Wednesday! X

  9. I agree with Tiff - everybody blogs for their own reasons. For some, it's a creative outlet. For others, it's a business opportunity. For me, it's a creative outlet, and it's also a way that I strive to remain positive and optimistic in my life. So I mostly focus on the good stuff - not to be inauthentic, but to keep my mind on the positives. Every now and then I do feel the desire to let go and vent a little too. I love all kinds of blogs, but I am especially drawn to people like me - people who are trying to appreciate all the beauty in this life! Mostly, I agree it's about being authentic and honest.

  10. my blog is always a little bit of everything. Whatever God is putting on my heart. I do love to speak from the heart because I have found so much encouragement form my bloggy friends. Those coffee cups are gorgoues by the way!

  11. I'm not brave at all but at the same time I'm very happy with my blog. I'm really not sure where it's going to take me but, for now, I'm happy taking photos, chit chatting and progressing SJW. The deepest layer of this onion will stay wrapped up for now. gxo

Misplaced crystal structures =
____________
(1)
This record from the Materials Project describes a relaxed structure of Be5Co. The functional is PBE-GGA.

abc: 5.7658 5.7658 5.7658
angles: 90.00 90.00 90.00
Last column: nearest neighbours and their distance in Å.
Space group F-43m (No. 216)
One atom of each set of equivalent atoms:
1 Be 0.0000 0.0000 0.0000 x4  12 Be 2.39, 4 Co 2.50
2 Be 0.1244 0.1244 0.6244 x16  6 Be 2.03-2.05
3 Co 0.2500 0.2500 0.2500 x4  16 Be 2.39-2.50

The formation energy from the elements comes out at -192 meV per atom. The calculation puts the final energy at -4.493 eV/atom. For the calculated volume, the calculation gives 7.99 A^3/atom.

***

(2)
This record from the Materials Project describes a relaxed structure of PbS2N3. The functional is PBE-GGA.

abc: 6.2753 16.5492 6.0100
angles: 90.00 93.96 90.00
Last column: nearest neighbours and their distance in Å.
Space group P2_1/c (No. 14)
One atom of each set of equivalent atoms:
1 Pb 0.2231 0.0654 0.3035 x4  2 N 2.27-2.40
2 S 0.3591 0.5588 0.3043 x4  1 N 1.66
3 S 0.3792 0.6789 0.9694 x4  2 N 1.53-1.62
4 N 0.1314 0.1625 0.0166 x4  1 Pb 2.40
5 N 0.2404 0.6278 0.1381 x4  2 S 1.62-1.66
6 N 0.3827 0.1605 0.5314 x4  1 S 1.53

The magnetization is 3.000 μB/f.u. The formation energy from the elements comes out at 939 meV per atom. The calculation puts the final energy at -5.046 eV/atom. For the calculated volume, the calculation gives 25.94 A^3/atom.
____________
The crystal structures stop here =

  12. I've been getting braver in my blogging. I think I've been trying to find my voice...it's only been six months, so I'm a newbie. But it's coming along. I'm the equivalent of an open book in real life, so it's not to hard to spill it in the blog. I only need to censor myself when it comes to bitching about work or my hubby...complaining about those two things could get me in trouble. :-)

    Thanks for the lavender and the coffee. Have a great week.

  13. thanks for meeting up for coffee! you have a beautiful blog. so nice to meet you here. i'm a new follower! i'm all about brave blogging. that's where real relationships and learning happen, i believe...inside vulnerability, acceptance and unconditional love.

  14. Hello you. Brave blogging... my life is so up and down... but like you, I don't like to linger on the lows. The simple act of tapping away on this old keyboard, makes me forget the yucky parts of the day and focus on the good. A close friend referred to my blog as 'A place for twee'... ouch... cut me deep, but you know what? This old blog marlarkey helps me focus, stay happy (cos I'd be a liar if I said there weren't moments where I felt like grabbing the vino before lunch... through blogland I have met wonderful people like you. I steal away a few minutes each day to catch up on you and your life. Even though it's all virtual, I feel as though I have found a kindred spirit. A friend. Enjoy the bikkies. Have a malted milk for me (my favourite). Take care. Lx

**Someone pasted calculated crystals at this point**
+++
# 1
Entry from the Materials Project database: Cd3Pt30O40 after structural relaxation (PBE-GGA).

Results
Formation energy ... -82.33 kJ per mole of atoms
Symmetry ... P2/m
MP2020-corrected energy ... -6.10 eV per atom

```
Cd3Pt30O40
1.0
8.113 0.000 0.000
0.000 5.715 0.000
-4.030 0.000 20.297
Cd Pt O
3 30 40
Cartesian
0.000 0.000 0.000
0.007 0.000 8.094
4.076 0.000 12.203
-2.015 1.471 10.149
-2.015 4.244 10.149
-3.011 0.000 15.281
-1.033 2.858 7.049
1.050 2.858 1.047
1.025 0.000 3.087
-1.977 1.449 18.242
-1.977 4.267 18.242
-0.953 0.000 13.223
-0.992 2.858 15.237
1.063 2.858 9.142
0.993 0.000 11.207
2.064 1.449 6.039
2.064 4.266 6.039
3.090 0.000 1.025
3.054 2.858 3.042
1.029 2.858 17.255
0.993 0.000 19.272
2.019 1.449 14.258
2.019 4.266 14.258
3.090 0.000 9.090
3.020 2.858 11.155
5.075 2.858 5.061
5.036 0.000 7.075
6.060 1.449 2.055
6.060 4.267 2.055
3.058 0.000 17.211
3.034 2.858 19.251
5.116 2.858 13.249
7.094 0.000 5.016
-2.067 1.380 12.198
-2.067 4.335 12.198
0.002 1.375 1.977
0.002 4.340 1.977
0.009 1.373 6.125
-2.002 1.444 16.243
-2.002 4.272 16.243
0.009 4.343 6.125
1.977 1.375 0.000
1.977 4.341 0.000
0.016 1.381 10.075
0.016 4.335 10.075
0.017 1.452 14.214
0.017 4.264 14.214
2.040 1.443 4.046
2.040 4.273 4.046
1.981 1.376 8.089
1.981 4.339 8.089
0.024 1.442 18.263
0.024 4.273 18.263
4.059 1.442 2.034
4.059 4.273 2.034
2.102 1.376 12.209
2.102 4.339 12.209
2.043 1.443 16.251
2.043 4.273 16.251
4.066 1.452 6.083
4.066 4.264 6.083
4.067 1.381 10.223
4.067 4.335 10.223
2.106 1.375 20.297
2.106 4.341 20.297
4.074 1.373 14.172
6.085 1.444 4.054
6.085 4.272 4.054
4.074 4.343 14.172
4.081 1.375 18.321
4.081 4.340 18.321
6.150 1.380 8.099
6.150 4.335 8.099
```


# 2
Entry from the Materials Project database: NdP2H2O8 after structural relaxation (PBE-GGA).

Results
Formation energy ... -164.81 kJ per mole of atoms
Symmetry ... P2_12_12_1
MP2020-corrected energy ... -6.47 eV per atom

```
NdP2H2O8
1.0
6.766 0.000 0.000
0.000 7.122 0.000
0.000 0.000 16.776
Nd P H O
4 8 8 32
Cartesian
0.939 0.530 3.836
2.444 6.592 12.224
4.322 3.031 12.940
5.827 4.091 4.552
0.761 2.002 7.085
1.167 2.923 12.403
2.216 4.199 4.015
2.622 5.120 15.473
4.144 1.559 9.691
4.550 0.638 4.373
5.599 6.483 12.761
6.005 5.563 1.303
0.814 2.669 11.062
1.436 4.373 15.487
1.947 2.749 7.099
2.569 4.452 2.674
4.197 0.891 5.714
4.819 6.310 1.289
5.330 0.812 9.677
5.952 6.230 14.102
0.117 6.592 11.950
0.385 6.470 1.797
0.405 1.595 8.537
0.452 1.513 16.260
0.699 1.936 0.606
0.983 0.783 6.186
1.264 5.343 4.480
1.314 2.933 4.036
2.069 4.189 12.424
2.119 1.779 12.868
2.399 6.339 14.574
2.684 5.186 8.994
2.931 5.609 7.872
2.978 5.527 0.149
2.997 0.652 10.185
3.266 0.529 3.562
3.500 4.090 4.826
3.768 4.213 14.979
3.788 1.966 8.239
3.835 2.048 0.516
4.082 1.625 16.170
4.366 2.778 10.590
4.647 5.340 12.296
4.697 0.628 12.740
5.452 6.494 4.352
5.502 1.782 3.908
5.782 4.344 2.202
6.067 5.497 7.782
6.314 5.073 8.904
6.360 5.156 16.627
6.380 2.909 6.591
6.649 3.032 13.214
```


# 3
+++

  15. Brave blogging? I think everyone who shares any part of themselves through a blog is in some way a brave blogger.
    I hover on the line of 'safe' and 'newsy' and occasionally dip into 'reflective mode'. Writing something from the heart feels good, but it's not that comfortable for me yet...
    I enjoy reading a variety of blogs. I get inspired by some of the glossy images, I enjoy a peek into the everyday life of others and I am often moved by some of the 'share it all' writers. I love it!
    Thank you for making me stop and think a little about my style...and for the coffee and lavender...and the biscuits (I treated us to some imported HobNobs the other day).

  16. I love your idea with Brave Blogging. Now, most of everyone blogs about all the little things they did that day, which is pointless. People really do need to write with their hearts! They also SHOULD step out of their comfort zone and take chances!

  17. People should do more BRAVE BLOGGING! I love how you say that people should be confident of themselves and BE PASSIONATE!

  18. I think I'm becoming more brave in my blogging over time. And I think being brave doesn't necessarily mean hanging out all your dirty laundry for everyone to see (in fact, I don't appreciate blogs that spend time talking trash about husbands or in-laws or whoever else they're having problems with). You don't have to share all the details just to be real.

    I think the way in which I've become braver is that I'm more willing to explore that which I don't know. Before, I would write things about which I was certain. Now I share my uncertainties, my anxieties...the things for which there aren't always answers.

  19. Ah, Miss Melissa, Naomi is just the best, such a brilliant cheerleader and supporter of mine in Blogland. Bless her. I'm into brave blogging. I don't know any other way. As are you, Suzanne and Naomi - three of my dearest bloggy friends. A fabulous and heartfelt post. J x

  20. Sawasdee ka *-*
    I come to visit you blog naka


Thanks for taking a moment...x